# Listing
(1)
# TaCuNi2, relaxed, DFT PBE
# * energy relative to the elements: -194 meV/atom
data_TaCuNi2
_chemical_formula_sum 'Ta2 Cu2 Ni4'
_cell_length_a 3.7452
_cell_length_b 3.7452
_cell_length_c 7.2684
_cell_angle_alpha 90.00
_cell_angle_beta 90.00
_cell_angle_gamma 90.00
_symmetry_space_group_name_H-M 'I 4/m m m'
_symmetry_Int_Tables_number 139
_symmetry_space_group_name_Hall '-I 4 2'
loop_
_atom_site_label
_atom_site_type_symbol
_atom_site_fract_x
_atom_site_fract_y
_atom_site_fract_z
Ta1 Ta 0.0000 0.0000 0.0000
Cu1 Cu 0.0000 0.0000 0.5000
Ni1 Ni 0.0000 0.5000 0.2500


(2)
# La2TbScBi4, relaxed, DFT PBE
# * energy relative to the elements: -895 meV/atom
data_La2TbScBi4
_chemical_formula_sum 'La2 Tb1 Sc1 Bi4'
_cell_length_a 7.8445
_cell_length_b 4.5614
_cell_length_c 7.8920
_cell_angle_alpha 90.00
_cell_angle_beta 109.62
_cell_angle_gamma 90.00
_symmetry_space_group_name_H-M 'P 1 2/m 1'
_symmetry_Int_Tables_number 10
loop_
_symmetry_equiv_pos_as_xyz
'x,y,z'
'-x,-y,-z'
'-x,y,-z'
'x,-y,z'
loop_
_atom_site_label
_atom_site_type_symbol
_atom_site_fract_x
_atom_site_fract_y
_atom_site_fract_z
La1 La 0.0000 0.0000 0.0000
La2 La 0.0000 0.5000 0.5000
Tb1 Tb 0.5000 0.0000 0.5000
Sc1 Sc 0.5000 0.5000 0.0000
Bi1 Bi 0.2669 0.5000 0.2490
Bi2 Bi 0.2719 0.0000 0.7640


(3)
# Y3AlN, relaxed, DFT PBE
# * VASP energy: -141.8 eV for the cell shown
data_Y3AlN
_chemical_formula_sum 'Y12 Al4 N4'
_cell_length_a 7.0004
_cell_length_b 9.4756
_cell_length_c 6.6705
_cell_angle_alpha 90.00
_cell_angle_beta 90.11
_cell_angle_gamma 90.00
_symmetry_space_group_name_H-M 'C 1 2/m 1'
_symmetry_Int_Tables_number 12
loop_
_symmetry_equiv_pos_as_xyz
'x,y,z'
'-x,-y,-z'
'-x,y,-z'
'x,-y,z'
'x+1/2,y+1/2,z'
'-x+1/2,-y+1/2,-z'
'-x+1/2,y+1/2,-z'
'x+1/2,-y+1/2,z'
loop_
_atom_site_label
_atom_site_type_symbol
_atom_site_fract_x
_atom_site_fract_y
_atom_site_fract_z
Y1 Y 0.0004 0.2445 0.2502
Y2 Y 0.2469 0.5000 0.9999
Al1 Al 0.2298 0.5000 0.4999
N1 N 0.2500 0.2500 0.0000


(4)
# Mg2Si3, relaxed, DFT PBE
# * energy relative to the lowest polymorph listed for this composition: 99 meV/atom
data_Mg2Si3
_chemical_formula_sum 'Mg8 Si12'
_cell_length_a 3.7394
_cell_length_b 6.0112
_cell_length_c 17.0031
_cell_angle_alpha 93.23
_cell_angle_beta 92.57
_cell_angle_gamma 98.17
_symmetry_space_group_name_H-M 'P 1'
_symmetry_Int_Tables_number 1
loop_
_symmetry_equiv_pos_as_xyz
'x,y,z'
loop_
_atom_site_label
_atom_site_type_symbol
_atom_site_fract_x
_atom_site_fract_y
_atom_site_fract_z
Mg1 Mg 0.0000 0.0000 0.0000
Mg2 Mg 0.0434 0.7688 0.2309
Mg3 Mg 0.1173 0.3156 0.1565
Mg4 Mg 0.1699 0.0593 0.3885
Mg5 Mg 0.5214 0.3024 0.9036
Mg6 Mg 0.6326 0.7697 0.5015
Mg7 Mg 0.6903 0.5406 0.7376
Mg8 Mg 0.7825 0.0932 0.6406
Si1 Si 0.0252 0.5561 0.3910
Si2 Si 0.1063 0.5313 0.0007
Si3 Si 0.2064 0.7473 0.6354
Si4 Si 0.3356 0.3873 0.5810
Si5 Si 0.3568 0.9211 0.7737
Si6 Si 0.4482 0.7598 0.9011
Si7 Si 0.4921 0.4792 0.3024
Si8 Si 0.5425 0.9878 0.1275
Si9 Si 0.6232 0.1026 0.2665
Si10 Si 0.6401 0.6085 0.0898
Si11 Si 0.7997 0.2966 0.4935
Si12 Si 0.9306 0.1730 0.7919


(5)
# Sc2Be2Bi, relaxed, DFT PBE
# * energy relative to the lowest polymorph listed for this composition: 377 meV/atom
# * energy relative to the elements: 167 meV/atom
data_Sc2Be2Bi
_chemical_formula_sum 'Sc4 Be4 Bi2'
_cell_length_a 3.3546
_cell_length_b 3.3546
_cell_length_c 17.3902
_cell_angle_alpha 90.00
_cell_angle_beta 90.00
_cell_angle_gamma 90.00
_symmetry_space_group_name_H-M 'I 4/m m m'
_symmetry_Int_Tables_number 139
_symmetry_space_group_name_Hall '-I 4 2'
loop_
_atom_site_label
_atom_site_type_symbol
_atom_site_fract_x
_atom_site_fract_y
_atom_site_fract_z
Sc1 Sc 0.0000 0.0000 0.1235
Be1 Be 0.0000 0.5000 0.2500
Bi1 Bi 0.0000 0.0000 0.5000


(6)
# SmHfZr2, relaxed, DFT PBE
# * energy relative to the lowest polymorph listed for this composition: 6 meV/atom
# * energy relative to the elements: 124 meV/atom
data_SmHfZr2
_chemical_formula_sum 'Sm3 Hf3 Zr6'
_cell_length_a 3.2667
_cell_length_b 3.2667
_cell_length_c 32.3081
_cell_angle_alpha 90.00

# Request
What is needed: retype the part of the rows earlier on that starts with the line with "Ni1 Ni" and stops after the one with "Tb1 Tb".

# Here it is
Ni1 Ni 0.0000 0.5000 0.2500


(2)
# La2TbScBi4, relaxed, DFT PBE
# * energy relative to the elements: -895 meV/atom
data_La2TbScBi4
_chemical_formula_sum 'La2 Tb1 Sc1 Bi4'
_cell_length_a 7.8445
_cell_length_b 4.5614
_cell_length_c 7.8920
_cell_angle_alpha 90.00
_cell_angle_beta 109.62
_cell_angle_gamma 90.00
_symmetry_space_group_name_H-M 'P 1 2/m 1'
_symmetry_Int_Tables_number 10
loop_
_symmetry_equiv_pos_as_xyz
'x,y,z'
'-x,-y,-z'
'-x,y,-z'
'x,-y,z'
loop_
_atom_site_label
_atom_site_type_symbol
_atom_site_fract_x
_atom_site_fract_y
_atom_site_fract_z
La1 La 0.0000 0.0000 0.0000
La2 La 0.0000 0.5000 0.5000
Tb1 Tb 0.5000 0.0000 0.5000